6 Ways to Tame Envy – the Green-Eyed Monster In You

I truly envy those who have perfect eye sight! After the birth of my first child, my eye sight was not the same.
There are challenges for those who wear glasses or contacts – little things like it being difficult to see when it’s raining or when you are sweating. Babies get a kick out of grabbing them. Contacts are preferred in those situations, however, contacts come with their own challenges. Heaven forbid you lose or crack one! I know, I’ve done both!
Several years back, after cracking one of my hard contact lenses, I was forced to wear my glasses for nearly a week. If I loved the way I looked in glasses, that would be one thing, but sadly I don’t.
In the process of getting new contacts, it made sense to also get a new pair of glasses that were public-worthy – something I would feel good about wearing if I had to.
A week later, I picked up my fashionable new spectacles. As I walked to my car wearing them, my vision was not that great. I confess I expected more from a brand-new pair of glasses. I chalked it up to that funky adjustment period one has with a new prescription.
1 Week Later…
Still funkiness!
It became clear that they positioned the transition from distance to bifocals too high on the lenses. The only real way to see out of my glasses was to let them slide down my nose, destroying the whole fashionable vibe I was going for.
Needless to say, I was a little frustrated with the inability to be able to see and be cute simultaneously!
A faulty pair of glasses makes seeing impossible! Do you know what else wreaks havoc on your ability to see clearly? Envy! It’s the Green-Eyed Monster!
Even before Shakespeare penned the phrases “green-eyed monster” in Othello or “green sickness” in Anthony & Cleopatra, or the “green-eyed jealousy” in The Merchant of Venice, the Greeks associated envy with being green, pale, and sickly. They believed that envy caused the body to produce too much bile resulting in one appearing “green.”
Don’t be confused, envy is not the same as jealousy.
Envy Takes A Toll!
And guess what, if you allow envy to exist, it eventually does make you sick. Proverbs 14:30 puts it this way: A heart at peace gives life to the body, but envy rots the bones.
Taking a toll on your health isn’t the only undesirable thing that envy leads to. Envy also…
- Undermines your confidence
- Hurts your personal and professional relationships
- Decreases your productivity
- Steals your joy
- Feeds discontent and bitterness
- Wastes time and energy
- Ignites the victim mentality
- Increases frustration and discouragement
- Chips away at your self-worth
- Shrinks your ability to influence
- Consumes your thoughts
- Keeps you from living authentically
- Causes you to be negative
- Keeps you stuck
The Opportunity for Envy are Endless!
No matter where you look, you will find someone more successful or less successful, than you are! Envy can pop up literally in any area of your life! Here are a few areas envy can show up:
- Relationships
- Your skills, gifts, and talents
- Being married or being single
- Having kids or not having kids
- Material stuff
- Your level of influence
- Your season of life
- Careers, jobs, or positions
- Income
- Looks or physical appearance
- The number of clients, customers, or donors
- Opportunities
- Freedom
- Status
- Even good eye-sight! J
Whatever you consider valuable, that’s where you are prone to envy.
So how do you tame the green-eyed monster in you?
1. Dwell on Abundance
Lurking underneath envy is the sense that there isn’t enough to go around. If someone else does well, then there is less for you.
I know a gentleman who was very stingy with compliments. If he celebrated the good in others, somehow, he believed that compliments diminished him in some way. Now that sounds wacky, and it is, but we all have funky beliefs that expose our scarcity mentality.
Remember, Jesus didn’t provide just enough food for the 5000 from five loaves and two fish. He made enough for everyone to eat plus 12 baskets leftover! That’s abundance! (Mark 6:30-44)
Do you truly believe that God has plenty for you? Enough money, clients, stuff (the stuff you need), etc.? Is He able to make this season of life full and meaningful?
I came so they can have real and eternal life, more and better life than they ever dreamed of. John 10:10b (MSG)
2. Practice Gratitude
What you focus on you get more of! Rather than focusing on all that you lack, instead try focusing on all that you have! Appreciate where you are today: this season of life!
If social media or advertising unleashes your green-eye monster, then limit or eliminate it.
And, keep in mind, there’s a cost and a sacrifice to some of what you envy. Perhaps a cost or sacrifice that you’re not willing to make or that conflicts in some way with your values or goals.
== Data records from another source follow ==
Calculated X-ray diffraction stick pattern of NaScCd5 for Cu Kα (weighted mean of Kα1 and Kα2), from the GGA-PBE geometry in Alexandria.
Kinematic intensities with the Lorentz-polarization factor, no thermal factor.

Atomic structure:
Unit cell a=6.1087 b=9.3552 c=6.1764 alpha=90.00 beta=90.00 gamma=90.00
Space group Cmmm (No. 65)
Inequivalent atoms, fractional coordinates:
Na: 0.0000 0.0000 0.0000
Sc: 0.0000 0.5000 0.5000
Cd: 0.0000 0.0000 0.5000
Cd: 0.2500 0.2500 0.2486

Peak list (6 most intense, 2θ = 5–70°, by angle)
- d = 4.678 Å, 2θ 19.0, rel. 414, (0 2 0)
- d = 2.577 Å, 2θ 34.8, rel. 1000, (0 2 2)
- d = 2.557 Å, 2θ 35.1, rel. 978, (2 2 0)
- d = 2.339 Å, 2θ 38.5, rel. 377, (0 4 0)
- d = 2.172 Å, 2θ 41.6, rel. 601, (2 0 2)
- d = 1.591 Å, 2θ 58.0, rel. 430, (2 4 2)


Entry 1:
Starting from the GGA-PBE geometry in OQMD, the XRD peak list of Gd2ErMg3Al2In was simulated for Cu Kα (λ = 1.5418 Å).
No peak broadening, texture or thermal motion is included.

Cell: 4.609 12.788 7.439 Å, 90.00 90.00 90.00°
Space group Amm2 (No. 38)
Inequivalent atoms, fractional coordinates:
Gd: 0.000 0.219 0.000 [4 per cell]
Er: 0.000 0.000 0.344 [2 per cell]
Mg: 0.500 0.000 0.027 [2 per cell]
Mg: 0.500 0.123 0.658 [4 per cell]
Al: 0.500 0.165 0.281 [4 per cell]
In: 0.000 0.000 0.778 [2 per cell]

Most intense lines, 5° ≤ 2θ ≤ 70°, low angle first:
19.26 deg, rel. 704, hkl 1 0 0; 27.75 deg, rel. 556, hkl 0 2 2; 27.91 deg, rel. 275, hkl 0 4 0; 30.89 deg, rel. 183, hkl 1 0 2; 31.00 deg, rel. 389, hkl 1 3 1; 34.00 deg, rel. 1000, hkl 1 2 2; 34.13 deg, rel. 505, hkl 1 4 0; 39.09 deg, rel. 296, hkl 2 0 0; 48.64 deg, rel. 361, hkl 2 4 0; 67.61 deg, rel. 202, hkl 3 4 0

Entry 2:
Starting from the GGA-PBE geometry in OQMD, the XRD peak list of Lu4Hf2Co3C3 was simulated for Cu Kα (λ = 1.5418 Å).
No peak broadening, texture or thermal motion is included.

Cell: 5.775 5.790 13.896 Å, 79.14 79.15 60.20°
Space group P-1 (No. 2)
Inequivalent atoms, fractional coordinates:
Lu: 0.037 0.192 0.401 [2 per cell]
Lu: 0.133 0.301 0.100 [2 per cell]
Lu: 0.192 0.037 0.901 [2 per cell]
Lu: 0.301 0.133 0.600 [2 per cell]
Hf: 0.364 0.527 0.402 [2 per cell]
Hf: 0.473 0.636 0.098 [2 per cell]
Co: 0.105 0.424 0.750 [2 per cell]
Co: 0.107 0.893 0.750 [2 per cell]
Co: 0.424 0.105 0.250 [2 per cell]
C: 0.000 0.500 0.500 [1 per cell]
C: 0.201 0.649 0.001 [2 per cell]
C: 0.351 0.798 0.499 [2 per cell]
C: 0.500 0.000 0.000 [1 per cell]

Most intense lines, 5° ≤ 2θ ≤ 70°, low angle first:
13.06 deg, rel. 215, hkl 0 0 2; 26.28 deg, rel. 481, hkl 0 0 4; 30.87 deg, rel. 387, hkl 1 -1 0; 31.54 deg, rel. 673, hkl 1 -1 1; 31.78 deg, rel. 390, hkl 2 1 2; 36.56 deg, rel. 1000, hkl 2 1 -2; 36.83 deg, rel. 901, hkl 1 -1 3; 37.25 deg, rel. 912, hkl 2 1 4; 39.88 deg, rel. 461, hkl 0 0 6; 57.18 deg, rel. 207, hkl 1 -1 7

Entry 3:
Starting from the GGA-PBE geometry in OQMD, the XRD peak list of Dy2TaNbGe2 was simulated for Cu Kα (λ = 1.5418 Å).
No peak broadening, texture or thermal motion is included.
3. Connect with YOUR Purpose
Out of God’s creativity, He has not made any two individuals the same. You are a unique and amazing creature with a specific purpose – one that only you can live out. Comparing yourself to others is like comparing green beans to green apples. Let just say that a green bean pie with ice cream or an apple casserole topped with crunchy onions – not yummy!
When you walk in your purpose it’s more fulfilling than anything else you can do and it will also bless others and make a difference in the Kingdom in fruitful ways.
____________
The following is a theoretical X-ray powder pattern of NaB15. It was derived from a cell relaxed with PBE, using λ = 1.5418 Å (Cu Kα).

Main lines, low angle first (15° ≤ 2θ ≤ 90°):
two_theta  I/Imax  (hkl)
18.48  204  1 0 1
25.36  417  1 2 1
30.57  202  2 0 0
35.30  1000  2 2 0
37.13  242  1 3 2
39.70  802  1 2 3
41.09  238  0 4 2
41.98  240  2 3 1
46.72  255  1 1 4
70.10  513  2 3 5

Structural model:
a b c (Å): 5.8479 10.3011 8.4161
angles (deg): 90.00 90.00 90.00
Space group Imma (No. 74)
Unique sites:
Na1 0.0000 0.2500 0.1612
B1 0.0000 0.1012 0.6530
B2 0.0000 0.1453 0.8938
B3 0.0000 0.1648 0.4537
B4 0.0000 0.2500 0.7530
B5 0.1607 0.0479 0.3346
B6 0.2477 0.0811 0.5367


The following is a theoretical X-ray powder pattern of Pm2PuNbN4. It was derived from a cell relaxed with PBE, using λ = 1.5418 Å (Cu Kα).

Main lines, low angle first (15° ≤ 2θ ≤ 90°):
two_theta  I/Imax  (hkl)
31.62  351  0 0 2
32.10  1000  2 0 0
37.01  642  1 1 1
37.27  314  2 0 -2
53.03  111  2 0 2
53.20  219  1 1 -3
53.86  215  3 1 -1
63.63  202  3 1 1
63.94  198  3 1 -3
67.14  163  4 0 0

Structural model:
a b c (Å): 5.8899 3.4173 5.9797
angles (deg): 90.00 108.82 90.00
Space group P2/m (No. 10)
Unique sites:
Pm1 0.0000 0.0000 0.0000
Pm2 0.5000 0.5000 0.0000
Pu1 0.0000 0.5000 0.5000
Nb1 0.5000 0.0000 0.5000
N1 0.2518 0.0000 0.7188
N2 0.2701 0.5000 0.2846

* * * * *

Diffraction record for Er4Cd. The X-ray diffraction stick pattern is simulated, not measured: it uses a crystal structure in Alexandria, relaxed with GGA-PBE and λ = 1.5418 Å (Cu Kα).
Intensities are scaled so that the largest is 100.

Structure:
```
Er4Cd
1.0
-2.601 3.351 8.115
2.601 -3.351 8.115
2.601 3.351 -8.115
Er Cd
8 2
Cartesian
0.000 0.000 0.000
2.601 1.676 -1.700
0.000 0.023 3.182
2.601 0.023 4.934
0.000 3.351 0.000
0.000 3.328 3.182
2.601 3.328 4.934
0.000 1.676 9.816
2.601 1.676 1.824
0.000 1.676 6.291
```

Largest 10 diffraction maxima, by intensity, 2θ = 10–90°:
- 32.51°, I 100
- 32.25°, I 85
- 34.48°, I 44
- 34.72°, I 34
- 65.17°, I 27
- 49.74°, I 25
- 42.97°, I 18
- 60.53°, I 17
- 56.22°, I 17
- 35.94°, I 15

***

Diffraction record for CrFe6Re. The X-ray diffraction stick pattern is simulated, not measured: it uses a crystal structure in Alexandria, relaxed with GGA-PBE and λ = 1.5418 Å (Cu Kα).
Intensities are scaled so that the largest is 100.

Structure:
```
CrFe6Re
1.0
3.571 -5.026 0.000
3.571 5.026 0.000
0.000 0.000 10.041
Cr Fe Re
4 24 4
Cartesian
0.000 0.000 2.500
0.000 0.000 7.541
3.571 2.498 5.021
3.571 -2.498 5.021
0.000 0.000 0.000
0.000 0.000 5.021
1.762 1.269 3.778
1.762 1.269 6.263
1.763 1.246 1.274
1.763 1.246 8.768
3.571 2.536 2.543
3.571 2.536 7.498
1.763 -1.246 1.274
1.763 -1.246 8.768
1.762 -1.269 3.778
1.762 -1.269 6.263
3.571 0.000 0.000
3.571 0.000 5.021
5.380 1.269 3.778
5.380 1.269 6.263
5.380 1.246 1.274
5.380 1.246 8.768
3.571 -2.536 2.543
3.571 -2.536 7.498
5.380 -1.246 1.274
5.380 -1.246 8.768
5.380 -1.269 3.778
5.380 -1.269 6.263
3.571 2.503 0.000
3.571 0.000 2.508
____________
4. Focus on Obedience
_Records of crystals, kept here for reference_
For Ca2LaHPb, the GGA-PBE geometry in Alexandria gives the computed powder XRD pattern in this record (Cu Ka).

Structure:
Cell lengths 5.0842, 5.0842, 4.9906 Å; angles 90.00, 90.00, 90.00 degrees
Space group P4/mmm (No. 123)
One atom of each set of equivalent atoms:
Ca1 0.0000 0.5000 0.0000 x2
La1 0.0000 0.0000 0.5000 x1
H1 0.0000 0.0000 0.0000 x1
Pb1 0.5000 0.5000 0.5000 x1

Main lines, sorted by position (2θ from 10° to 80°):
2theta	I_rel
17.8	32
24.8	31
30.6	100
35.3	35
36.0	16
39.8	18
44.2	14
51.3	24
60.5	28
61.4	14

----------

1.
# Sn4GeTe4Se
Computed X-ray diffraction stick pattern, Cu Kα (weighted mean of Kα1 and Kα2). Input: a crystal structure in Alexandria, relaxed with PBE.
No peak broadening, texture or thermal motion is included.

Main lines, by angle (10° ≤ 2θ ≤ 90°):
2θ = 28.4°, I = 100; 2θ = 36.1°, I = 7; 2θ = 40.1°, I = 31; 2θ = 41.0°, I = 40; 2θ = 50.6°, I = 20; 2θ = 58.7°, I = 10; 2θ = 65.8°, I = 10; 2θ = 67.0°, I = 18; 2θ = 74.0°, I = 11; 2θ = 74.6°, I = 7

Structural model:
```
data_Sn4GeTe4Se
_chemical_formula_sum 'Sn4 Ge1 Te4 Se1'
_cell_length_a 18.7482
_cell_length_b 18.7482
_cell_length_c 18.7482
_cell_angle_alpha 13.49
_cell_angle_beta 13.49
_cell_angle_gamma 13.49
_space_group_name_H-M_alt 'P 1'
_space_group_IT_number 1
loop_
_space_group_symop_operation_xyz
'x,y,z'
loop_
_atom_site_label
_atom_site_type_symbol
_atom_site_fract_x
_atom_site_fract_y
_atom_site_fract_z
Sn1 Sn 0.0000 0.0000 0.0000
Sn2 Sn 0.1936 0.1936 0.1936
Sn3 Sn 0.4032 0.4032 0.4032
Sn4 Sn 0.5969 0.5969 0.5969
Ge1 Ge 0.7947 0.7947 0.7947
Te1 Te 0.2937 0.2937 0.2937
Te2 Te 0.4871 0.4871 0.4871
Te3 Te 0.6968 0.6968 0.6968
Te4 Te 0.8906 0.8906 0.8906
Se1 Se 0.0951 0.0951 0.0951
```



2.
# Eu3Ta5O15
Computed X-ray diffraction stick pattern, Cu Kα (weighted mean of Kα1 and Kα2). Input: a crystal structure in Alexandria, relaxed with PBE.
No peak broadening, texture or thermal motion is included.

Main lines, by angle (10° ≤ 2θ ≤ 90°):
2θ = 22.4°, I = 16; 2θ = 25.5°, I = 30; 2θ = 27.5°, I = 41; 2θ = 29.3°, I = 42; 2θ = 30.2°, I = 15; 2θ = 31.8°, I = 100; 2θ = 45.7°, I = 29; 2θ = 51.4°, I = 22; 2θ = 55.2°, I = 14; 2θ = 56.7°, I = 33

Structural model:
```
data_Eu3Ta5O15
_chemical_formula_sum 'Eu6 Ta10 O30'
_cell_length_a 12.5731
_cell_length_b 12.5731
_cell_length_c 3.9725
_cell_angle_alpha 90.00
_cell_angle_beta 90.00
_cell_angle_gamma 90.00
_space_group_name_H-M_alt 'P 1'
_space_group_IT_number 1
loop_
_space_group_symop_operation_xyz
'x,y,z'
loop_
_atom_site_label
_atom_site_type_symbol
_atom_site_fract_x
_atom_site_fract_y
_atom_site_fract_z
Eu1 Eu 0.0000 0.0000 0.0000
Eu2 Eu 0.1599 0.3401 0.0000
Eu3 Eu 0.3401 0.8401 0.0000
Eu4 Eu 0.5000 0.5000 0.0000
Eu5 Eu 0.6599 0.1599 0.0000
Eu6 Eu 0.8401 0.6599 0.0000
Ta1 Ta 0.0000 0.5000 0.5000
Ta2 Ta 0.0817 0.7909 0.5000
Ta3 Ta 0.2091 0.0817 0.5000
Ta4 Ta 0.2909 0.5817 0.5000
Ta5 Ta 0.4183 0.2909 0.5000
Ta6 Ta 0.5000 0.0000 0.5000
Ta7 Ta 0.5817 0.7091 0.5000
Ta8 Ta 0.7091 0.4183 0.5000
When it comes to life, everyone is at a different place in the race. Of course, you want to run the race like you want to win it, but remember, the starts are staggered, and the routes are all different. Trying to evaluate your success based on where others are on their journey is pointless. The important thing to focus on is whether or not you are being obedient and staying on track on your own race. That obedience is sure to contribute to your success, but success is not the goal, contrary to what the world might lead us to believe. Instead, focus on staying in step with where He is leading!
5. Be Yourself
Envy tempts me to copy you, and you to copy me. When I’m tempted to be more like you, I’m not being authentically me. Instead, I become a cheap imitation of you.
Being you assumes that you are sure of who God made you to be. You are clear on your personality, values, gifts, strengths, purpose, and more – who you are at the core.
When you are authentic it’s refreshing. It naturally draws people and opportunities your way.
6. Value Others
Admiring the talents and accomplishments of others is powerful. Sharing in their joy – that’s good for you! It’s good for them too. It’s seeing the unique way God has equipped others for their purpose and the celebrating the opportunities He’s blessed them with.
What you bring to the table is different, so is what I bring to the table. Each one of us will be used by God in different ways. You are loved extravagantly by Him and so are they! And there is nothing you can do to gain more of His love.
Envy has a way of making your vision funky, just like my new specs.
To be honest, we all feel the twinge of envy now and then. You and I live in an age when we are sent messages about so-and-so’s promotion via LinkedIn, we can see the happy successes of everyone on Facebook, and based on Twitter everyone is absolutely killing it!
Remember, nobody has it all! Rather than drifting into envy, let that funky feeling motivate you to make the most of who God’s made YOU to be and how He’s blessed you. Be generous with your time, talents, and money. Serving others is transforming.
Even with contacts, I’ve had to get cozy with the idea of wearing reading glasses. My grand-kids know Grammy’s glasses are a prerequisite for reading a story and happily go hunting to find them. I’m just so grateful that I can still see to read them stories…even if I have to wear glasses!
When the green-eyed monster pops up in you, what will you do?
This post has been updated and revised just for you!
Awesome blog
These 5 things are so important, focusing on God’s abundance and recognising the value in others has been especially transformational for me.
Wonderful! So great to read an article on this topic that is often not discussed. Loved the practical tips!
Thanks so much for stopping by Margo! You are right! It is not a topic that is often discussed. Blessings to you!